May 04, 2020, By: Joanne Petersen
Take away messages
- Supporting student nurse practice is an element of professional standards, and an ethical consideration for all nurses.
- The author offers easy tips and practical pearls that enhance the nurse preceptor/student nurse learning experience.
- Creating the right environment in any practice setting, from rural nursing to urban acute care, can ensure student nurse success in final practicums.
What’s your initial response when you think of a student nurse doing a practicum on your ward? Do you shy away from working with the student, or do you embrace the opportunity to grow the nurse of tomorrow?
(The page is interrupted by data records)
+++
A plane-wave DFT calculation with GGA-PBE was carried out for Sr3Lu after structural relaxation.

Unit cell a=5.691 b=5.691 c=11.489 alpha=90.00 beta=90.00 gamma=90.00
Space group I4/mmm (No. 139)
Unique sites:
1 Sr 0.000 0.000 0.000 (multiplicity 2)
2 Sr 0.000 0.500 0.250 (multiplicity 4)
3 Lu 0.000 0.000 0.500 (multiplicity 2)

Summary:
Total moment = 1.9 μB per cell
Theoretical density = 3.91 g/cm³
Total energy = -2.157 eV per atom


# 1
VASP calculation (PBE) on a relaxed Pd7Se4 crystal.

Calculated values
final energy	-106.27	eV for the cell shown
theoretical density	8941	kg/m³

Unit cell a=7.024 b=10.321 c=5.435 alpha=90.00 beta=90.00 gamma=90.00
Space group P2_12_12 (No. 18)
One atom of each set of equivalent atoms:
Pd  0.000  0.000  0.176 [2 per cell]
Pd  0.084  0.226  0.496 [4 per cell]
Pd  0.128  0.631  0.838 [4 per cell]
Pd  0.189  0.416  0.151 [4 per cell]
Se  0.000  0.000  0.670 [2 per cell]
Se  0.000  0.500  0.501 [2 per cell]
Se  0.176  0.779  0.183 [4 per cell]

---

# 2
VASP calculation (PBE) on a relaxed Rb2MgH12Se2O14 crystal.

Calculated values
final energy	-316.64	eV for the cell shown
total magnetic moment	0.00	μB per cell
theoretical density	2606	kg/m³

Unit cell a=6.397 b=12.846 c=9.462 alpha=90.00 beta=105.08 gamma=90.00
Space group P2_1/c (No. 14)
One atom of each set of equivalent atoms:
Rb  0.158  0.154  0.368 [4 per cell]
Mg  0.500  0.000  0.000 [2 per cell]
H  0.154  0.556  0.590 [4 per cell]
H  0.167  0.639  0.469 [4 per cell]
H  0.184  0.090  0.794 [4 per cell]
H  0.411  0.129  0.768 [4 per cell]
H  0.433  0.596  0.236 [4 per cell]
H  0.496  0.181  0.140 [4 per cell]
Se  0.232  0.640  0.904 [4 per cell]
O  0.070  0.742  0.912 [4 per cell]
O  0.099  0.562  0.767 [4 per cell]
O  0.206  0.566  0.501 [4 per cell]
O  0.281  0.573  0.060 [4 per cell]
O  0.336  0.109  0.844 [4 per cell]
O  0.465  0.683  0.872 [4 per cell]
O  0.473  0.107  0.163 [4 per cell]

---

# 3
VASP calculation (PBE) on a relaxed Al2O3 crystal.

Calculated values
final energy	-725.02	eV for the cell shown
total magnetic moment	0.00	μB per cell
theoretical density	3010	kg/m³

Unit cell a=9.823 b=10.230 c=11.226 alpha=91.04 beta=91.14 gamma=93.74
Space group P1 (No. 1)
One atom of each set of equivalent atoms:
Al  0.000  0.000  0.000 [1 per cell]
Al  0.000  0.917  0.429 [1 per cell]
Al  0.018  0.227  0.347 [1 per cell]
Al  0.098  0.663  0.085 [1 per cell]
Al  0.141  0.893  0.234 [1 per cell]
Al  0.161  0.194  0.873 [1 per cell]
Al  0.167  0.979  0.681 [1 per cell]
Al  0.171  0.378  0.570 [1 per cell]
Al  0.195  0.477  0.309 [1 per cell]
Al  0.236  0.801  0.923 [1 per cell]
Al  0.241  0.257  0.120 [1 per cell]
Al  0.267  0.116  0.452 [1 per cell]
Al  0.282  0.486  0.939 [1 per cell]
Al  0.360  0.828  0.425 [1 per cell]
Al  0.361  0.784  0.671 [1 per cell]
Al  0.390  0.218  0.709 [1 per cell]
Al  0.392  0.822  0.141 [1 per cell]
Al  0.455  0.199  0.946 [1 per cell]
Al  0.455  0.480  0.742 [1 per cell]
Al  0.485  0.498  0.154 [1 per cell]
+++
The Canadian Nurses Association Code of Ethics for Registered Nurses (CNA, 2017) has an appendix addressing ethical considerations in relationship to nursing students, and two statements that speak clearly to nurse–student interactions:
Nurses treat each other, colleagues, students and other health-care providers in a respectful manner, recognizing power differentials among formal leaders, colleagues and students. They work with others to honour dignity and resolve differences in a constructive manner (p. 41).
Nurses share their knowledge and provide feedback, mentorship and guidance for the professional development of nursing students, novice nurses, other nurses and other health-care providers (p. 41).
It’s pretty clear: we all have an ethical responsibility to nursing students.
At the provincial level, the regulatory bodies set the practice standards for the profession. These broad, principle-based statements also address what is expected of RNs in every practice setting in terms of supporting student nurses. In Saskatchewan, where I practise as a point-of-care RN, the Saskatchewan Registered Nurses Association document “Registered Nurse Practice Standards” (SRNA, 2019) states:
- #4 Service to the Public: The RN demonstrates leadership in quality and ethical nursing practice, delivery of health care services and establishing professional relationships. The RN upholds this standard by: #48 Acting as a formal and/or informal mentor to RNs, nursing students and colleagues to enhance and support professional growth.
… we all have an ethical responsibility to nursing students.
So I bet you can guess that I am an RN who embraces “supporting and enhancing” the professional growth of nursing students.
Precepting nursing students
Over the course of my 31 years in clinical practice, I have grown professionally and evolved my competencies as a preceptor to nursing students. Over the past 5 years, in a rural integrated facility, I have precepted fourth-year nursing students every year. I believe every nurse has something to offer a student.
When my own daughter was a student nurse in the Saskatchewan Collaborative Bachelor of Science Nursing program offered by the University of Regina and Saskatchewan Polytechnic, I took the opportunity to attend a learning session hosted by the program for RNs who were interested in precepting nursing students. The learning was invaluable in my role as a preceptor, and really boosted my confidence in having a student nurse tagged up with me for 6 weeks. No clinical instructor was on site but was available via phone or email.
Each student is unique in terms of their personality, learning style, previous experience, and goals, but there are many commonalities. Every student is a little (or a lot) nervous at the start. They are adjusting to a brand-new workspace, totally new faces, and a preceptor in place of a clinical instructor. And they are all wanting to put their education into practice.
I’ve found it helpful to meet with the student before she or he ever set foot in the facility. Meeting up for coffee a day or two before enables me to give them a rundown of what to expect that first day, answer their questions, and find out what their learning plan is. I also set out my expectations upfront to head off any problems. Punctuality is very important to me; to me, that means arriving at least 10 minutes ahead of report, not one minute.
Well before this first meeting I will have provided the student with my shift work schedule so that they can plan the 6 weeks well in advance. Almost all of the students I see are not from our rural area; most have found temporary accommodations for the practicum, and they want to know what days they can plan on going back home.
Many nurses assume they cannot precept students if they work part-time. In my experience, it works marvellously when two part-time RNs team up to jointly precept a student. The student gets some flexibility in scheduling shifts, and can choose which shifts between the two nurses work best for them. They also get the added benefit of learning from two different nurses.
Challenges and opportunities
Just as each student is unique, each nurse is unique in how they organize their workload, their style, perspectives, experience, and insights. This leads to a very rich experience for the student.
Often these final practicums for the fourth-year students are their first exposure to working the night shift and the challenges it brings. I find nursing students are keen to learn the self-care strategies that seasoned shift workers use to make the night shift manageable, and so I offer my student the flexibility to do night shifts with another RN to afford them a different perspective.
… nursing students are keen to learn the self-care strategies that seasoned shift workers use …
Besides the actual work of nursing and caring for our patients, there are other learning opportunities we might not think about when we have a student nurse. I’ve immersed the students in my own professional development. One student went with me to an Advanced Cardiac Life Support recertification training day and got to see me in the student role, being tested in a mega code scenario.
Another student attended the provincial nursing regulatory body council meeting with me in my capacity as president and watched me chair a meeting.
Every student who has spent time with me has been introduced to how I complete my mandatory continuing competence documents for the regulatory body as part of annual licensure. I also introduce the student to any employer-driven online training modules that support our practice. I’ve used the online employer module on best practices in transfusion management as a refresher prior to the student assisting with a blood transfusion or administration of IVIG. It really boosts their confidence and instills in them an appreciation for career-long learning.
It is of utmost importance in my practice that students clearly identify themselves as a student nurse to our patients and colleagues, and that we get the patient’s permission to allow the student nurse to be involved in their care. This has had an added benefit for me as a preceptor to be able to go back later to talk with the patient about the experience and gain valuable feedback for my student, either verbally or in writing, on the final evaluation, which I provide to the student and the clinical instructor.
Patients have shared with me that they appreciated all the explanations I provided to the student as we performed a particular procedure, and it helped them understand exactly what we were doing. I’ve had feedback from patients on a student’s posture, body language, and tone of voice that has been invaluable to the student as an improvement strategy. I also seek feedback on student performance from other staff, the special care aides and LPNs we work alongside, other RNs, and the doctors with whom we interact daily.
Student feedback
A key piece of learning that I do with every student nurse is the expectation that at the end of every shift the student must share with me, informally, three things they learned that day. It’s how we end every shift together.
On the first day, it might be simply where the staff fridge is to put their lunch, or the names of three co-workers. As the practicum progresses, the students’ minds seem to blossom. One did a full neurological assessment on a stroke-alert patient we were transferring to tertiary care. That student learned the value of a thorough and well-documented nursing assessment. Another student learned the importance of the choice of words we use with patients and families in having tender conversations about death and dying.
One of the biggest challenges … is when to quit hovering and watching over the student’s shoulder and give them the independence and responsibility they will need …
Interprofessional communication and collaboration are often not identified by students as part of their learning plan. Their focus is usually on specific tasks, like IV insertion and bladder catheterization. My role as their preceptor is to facilitate elevating their learning as opportunities present themselves.
Patient rounds
We had a locum physician providing weekend coverage. I knew from past experience that this person did a full ward round on every patient Saturday mornings. So, on Friday afternoon I suggested to the student that this would be a great chance to expand their comfort zone by rounding with the physician the next day.
We prepared by ensuring that the student was familiar with all the patients and their history. We discussed what communication tool the student would use to present the patient’s story, and how to engage the patient and their family in the rounding. The student also had to discuss any patient issues with the nurse assigned to the patient that day.
On Saturday morning, my role was to explain to the locum physician what we had planned and to seek her collaboration in this learning for the student. In the end, what the student thought was going to be her toughest assignment turned into an affirming leadership and communication exercise that she ranked as one of her top three most valuable learnings in the entire practicum.
Independence and responsibility
One of the biggest challenges for a preceptor in a 6-week practicum is when to quit hovering and watching over the student’s shoulder and give them the independence and responsibility they will need as they transition from student to new nurse. I’ve found that some students are ready but don’t feel they are—they need a gentle nudge or challenge to gain confidence. Others take the initiative and declare they are ready to go solo. Each student situation requires solid communication between the preceptor and student to ensure that patient safety is the top priority.
It is a privilege to be able to precept students in a 12-bed rural hospital, to give them a wide depth and breadth of experiences that only a rural setting can provide within the closeness and comradery of a tight-knit health care team. When those student nurses tell you they are considering applying for a position on staff, and then weeks later call to tell you that they passed their NCLEX-RN, it is truly a proud moment.
And when you later find yourselves working side by side as co-workers, it’s even better yet!
Canadian Nurses Association (CNA). (2017). Code of ethics for registered nurses.
Saskatchewan Registered Nurses Association. (2019). Registered nurse practice standards.
Joanne Petersen is a diploma nursing graduate of Kelsey Institute of Applied Arts & Science in Saskatoon, Saskatchewan, class of 1989. She is a proud point-of-care RN at the Assiniboia Union Hospital in southern Saskatchewan. Joanne is passionate about professionalism in nursing and leading from where you stand.